(Brief)
Now quote everything underneath without altering anything.

(File)
'''
[1]
A relaxed structure of Li3V3B2O10, computed with PBE with a Hubbard U. Values from VASP.

The structure in Quantum ESPRESSO input format:
```
&SYSTEM
  ibrav = 0, nat = 36, ntyp = 4
/
ATOMIC_SPECIES
Li 6.94 Li.upf
V 50.94 V.upf
B 10.81 B.upf
O 16.00 O.upf
CELL_PARAMETERS angstrom
9.434 0.000 0.000
0.000 2.993 0.000
-0.178 0.000 12.063
ATOMIC_POSITIONS angstrom
Li 0.000 0.000 0.000
Li -0.028 1.496 2.390
Li -0.031 1.496 5.837
Li 4.519 1.496 11.949
Li 4.643 1.496 8.555
Li 4.738 1.496 3.175
V -0.126 1.496 9.339
V 2.188 0.000 7.230
V 2.452 0.000 1.221
V 4.725 0.000 5.867
V 6.776 0.000 10.678
V 7.200 0.000 4.432
B 2.221 0.000 4.212
B 2.437 0.000 10.207
B 6.987 0.000 1.559
B 7.219 0.000 7.479
O 1.020 1.496 7.707
O 1.010 0.000 10.151
O 1.291 1.496 0.730
O 1.473 0.000 5.412
O 1.563 0.000 3.006
O 3.111 0.000 8.991
O 3.104 0.000 11.393
O 3.593 1.496 1.603
O 3.535 1.496 6.727
O 3.601 0.000 4.256
O 5.752 1.496 10.182
O 5.852 1.496 5.043
O 5.849 0.000 7.535
O 6.210 0.000 0.361
O 6.232 0.000 2.748
O 7.970 0.000 6.337
O 7.934 0.000 8.729
O 8.142 1.496 10.946
O 8.251 1.496 4.111
O 8.324 0.000 1.561
```

Electronic total energy ... -7.219 eV per atom
E above lowest polymorph ... 17 meV per atom

***

[2]
A relaxed structure of LiCo4O8, computed with PBE with a Hubbard U. Values from VASP.

The structure in Quantum ESPRESSO input format:
```
&SYSTEM
  ibrav = 0, nat = 26, ntyp = 3
/
ATOMIC_SPECIES
Li 6.94 Li.upf
Co 58.93 Co.upf
O 16.00 O.upf
CELL_PARAMETERS angstrom
5.700 0.000 0.000
2.850 5.280 0.000
0.010 3.065 9.291
ATOMIC_POSITIONS angstrom
Li 0.000 0.000 0.000
Li 2.853 1.537 4.618
Co 1.437 4.157 4.648
Co 2.847 3.409 2.309
Co 2.861 4.941 6.955
Co 4.282 5.725 9.266
Co 4.280 4.158 4.643
Co 5.703 3.408 2.309
Co 5.711 4.941 6.955
Co 7.139 5.723 9.262
O 1.432 4.287 8.047
O 1.509 2.716 3.442
O 2.865 6.377 8.194
O 2.855 4.813 3.578
O 2.849 2.004 1.039
O 2.863 3.505 5.715
O 4.196 4.088 1.181
O 4.290 5.586 5.866
O 4.208 2.733 3.430
O 4.291 4.295 8.043
O 5.713 6.362 8.226
O 5.705 4.824 3.593
O 5.698 1.992 1.025
O 5.710 3.519 5.684
O 7.131 5.595 5.862
O 7.198 4.096 1.184
```

Electronic total energy ... -5.753 eV per atom
E above lowest polymorph ... 3 meV per atom

***

[3]
A relaxed structure of Mn9P8O32, computed with PBE with a Hubbard U. Values from VASP.

The structure in Quantum ESPRESSO input format:
```
&SYSTEM
  ibrav = 0, nat = 49, ntyp = 3
/
ATOMIC_SPECIES
Mn 54.94 Mn.upf
P 30.97 P.upf
O 16.00 O.upf
CELL_PARAMETERS angstrom
8.923 0.000 0.000
-1.908 8.777 0.000
-1.586 -3.927 8.262
ATOMIC_POSITIONS angstrom
Mn 0.000 0.000 0.000
Mn -1.747 2.425 4.131
Mn 0.866 0.033 3.694
Mn 1.235 5.250 0.496
Mn 1.021 -2.020 7.857
Mn 3.669 -1.963 4.131
Mn 4.408 6.870 0.405
Mn 4.194 -0.400 7.766
Mn 4.563 4.817 4.568
P -0.523 2.774 1.258
P -1.290 5.347 4.933
P 2.626 -0.524 1.811
P 1.483 0.884 6.569
P 3.946 3.966 1.693
P 2.803 5.374 6.451
P 6.718 -0.497 3.329
P 5.952 2.076 7.004
O -0.885 -0.501 4.167
O -0.496 2.129 2.681
O 0.519 1.965 0.439
O -0.201 4.275 1.312
O -1.541 2.279 7.573
O 1.039 -0.637 1.809
O -1.634 5.566 6.434
O -0.671 3.934 4.712
O -0.335 6.462 4.434
O 0.551 -0.241 7.098
O 1.032 1.314 5.166
O 3.089 0.284 0.631
O 1.439 6.893 1.884
O 2.796 0.106 3.256
O 2.456 4.335 1.726
O 1.246 2.029 7.635
O 4.183 2.821 0.627
O 2.973 0.515 6.536
O 2.632 4.744 5.006
O 3.990 -2.043 6.378
O 2.340 4.566 7.631
O 4.397 3.536 3.096
O 4.878 5.091 1.164
O 5.764 -1.612 3.828
O 6.100 0.916 3.550
O 7.063 -0.716 1.828
O 4.390 5.487 6.453
O 6.970 2.571 0.689
O 5.630 0.575 6.950
O 4.910 2.885 7.823
O 5.925 2.721 5.581
O 6.314 5.351 4.095
```

Electronic total energy ... -7.470 eV per atom

***

[4]
A relaxed structure of Gd2MnNiO6, computed with PBE with a Hubbard U. Values from VASP.

The structure in Quantum ESPRESSO input format:
```
&SYSTEM
  ibrav = 0, nat = 20, ntyp = 4
/
ATOMIC_SPECIES
Gd 157.25 Gd.upf
Mn 54.94 Mn.upf
Ni 58.69 Ni.upf
O 16.00 O.upf
CELL_PARAMETERS angstrom
5.341 0.000 0.000
0.000 5.652 0.000
-5.282 0.000 7.634
ATOMIC_POSITIONS angstrom
'''

(Worked solution)
[1]
A relaxed structure of Li3V3B2O10, computed with PBE with a Hubbard U. Values from VASP.

The structure in Quantum ESPRESSO input format:
```
&SYSTEM
  ibrav = 0, nat = 36, ntyp = 4
/
ATOMIC_SPECIES
Li 6.94 Li.upf
V 50.94 V.upf
B 10.81 B.upf
O 16.00 O.upf
CELL_PARAMETERS angstrom
9.434 0.000 0.000
0.000 2.993 0.000
-0.178 0.000 12.063
ATOMIC_POSITIONS angstrom
Li 0.000 0.000 0.000
Li -0.028 1.496 2.390
Li -0.031 1.496 5.837
Li 4.519 1.496 11.949
Li 4.643 1.496 8.555
Li 4.738 1.496 3.175
V -0.126 1.496 9.339
V 2.188 0.000 7.230
V 2.452 0.000 1.221
V 4.725 0.000 5.867
V 6.776 0.000 10.678
V 7.200 0.000 4.432
B 2.221 0.000 4.212
B 2.437 0.000 10.207
B 6.987 0.000 1.559
B 7.219 0.000 7.479
O 1.020 1.496 7.707
O 1.010 0.000 10.151
O 1.291 1.496 0.730
O 1.473 0.000 5.412
O 1.563 0.000 3.006
O 3.111 0.000 8.991
O 3.104 0.000 11.393
O 3.593 1.496 1.603
O 3.535 1.496 6.727
O 3.601 0.000 4.256
O 5.752 1.496 10.182
O 5.852 1.496 5.043
O 5.849 0.000 7.535
O 6.210 0.000 0.361
O 6.232 0.000 2.748
O 7.970 0.000 6.337
O 7.934 0.000 8.729
O 8.142 1.496 10.946
O 8.251 1.496 4.111
O 8.324 0.000 1.561
```

Electronic total energy ... -7.219 eV per atom
E above lowest polymorph ... 17 meV per atom

***

[2]
A relaxed structure of LiCo4O8, computed with PBE with a Hubbard U. Values from VASP.

The structure in Quantum ESPRESSO input format:
```
&SYSTEM
  ibrav = 0, nat = 26, ntyp = 3
/
ATOMIC_SPECIES
Li 6.94 Li.upf
Co 58.93 Co.upf
O 16.00 O.upf
CELL_PARAMETERS angstrom
5.700 0.000 0.000
2.850 5.280 0.000
0.010 3.065 9.291
ATOMIC_POSITIONS angstrom
Li 0.000 0.000 0.000
Li 2.853 1.537 4.618
Co 1.437 4.157 4.648
Co 2.847 3.409 2.309
Co 2.861 4.941 6.955
Co 4.282 5.725 9.266
Co 4.280 4.158 4.643
Co 5.703 3.408 2.309
Co 5.711 4.941 6.955
Co 7.139 5.723 9.262
O 1.432 4.287 8.047
O 1.509 2.716 3.442
O 2.865 6.377 8.194
O 2.855 4.813 3.578
O 2.849 2.004 1.039
O 2.863 3.505 5.715
O 4.196 4.088 1.181
O 4.290 5.586 5.866
O 4.208 2.733 3.430
O 4.291 4.295 8.043
O 5.713 6.362 8.226
O 5.705 4.824 3.593
O 5.698 1.992 1.025
O 5.710 3.519 5.684
O 7.131 5.595 5.862
O 7.198 4.096 1.184
```

Electronic total energy ... -5.753 eV per atom
E above lowest polymorph ... 3 meV per atom

***

[3]
A relaxed structure of Mn9P8O32, computed with PBE with a Hubbard U. Values from VASP.

The structure in Quantum ESPRESSO input format:
```
&SYSTEM
  ibrav = 0, nat = 49, ntyp = 3
/
ATOMIC_SPECIES
Mn 54.94 Mn.upf
P 30.97 P.upf
O 16.00 O.upf
CELL_PARAMETERS angstrom
8.923 0.000 0.000
-1.908 8.777 0.000
-1.586 -3.927 8.262
ATOMIC_POSITIONS angstrom
Mn 0.000 0.000 0.000
Mn -1.747 2.425 4.131
Mn 0.866 0.033 3.694
Mn 1.235 5.250 0.496
Mn 1.021 -2.020 7.857
Mn 3.669 -1.963 4.131
Mn 4.408 6.870 0.405
Mn 4.194 -0.400 7.766
Mn 4.563 4.817 4.568
P -0.523 2.774 1.258
P -1.290 5.347 4.933
P 2.626 -0.524 1.811
P 1.483 0.884 6.569
P 3.946 3.966 1.693
P 2.803 5.374 6.451
P 6.718 -0.497 3.329
P 5.952 2.076 7.004
O -0.885 -0.501 4.167
O -0.496 2.129 2.681
O 0.519 1.965 0.439
O -0.201 4.275 1.312
O -1.541 2.279 7.573
O 1.039 -0.637 1.809
O -1.634 5.566 6.434
O -0.671 3.934 4.712
O -0.335 6.462 4.434
O 0.551 -0.241 7.098
O 1.032 1.314 5.166
O 3.089 0.284 0.631
O 1.439 6.893 1.884
O 2.796 0.106 3.256
O 2.456 4.335 1.726
O 1.246 2.029 7.635
O 4.183 2.821 0.627
O 2.973 0.515 6.536
O 2.632 4.744 5.006
O 3.990 -2.043 6.378
O 2.340 4.566 7.631
O 4.397 3.536 3.096
O 4.878 5.091 1.164
O 5.764 -1.612 3.828
O 6.100 0.916 3.550
O 7.063 -0.716 1.828
O 4.390 5.487 6.453
O 6.970 2.571 0.689
O 5.630 0.575 6.950
O 4.910 2.885 7.823
O 5.925 2.721 5.581
O 6.314 5.351 4.095
```

Electronic total energy ... -7.470 eV per atom

***

[4]
A relaxed structure of Gd2MnNiO6, computed with PBE with a Hubbard U. Values from VASP.

The structure in Quantum ESPRESSO input format:
```
&SYSTEM
  ibrav = 0, nat = 20, ntyp = 4
/
ATOMIC_SPECIES
Gd 157.25 Gd.upf
Mn 54.94 Mn.upf
Ni 58.69 Ni.upf
O 16.00 O.upf
CELL_PARAMETERS angstrom
5.341 0.000 0.000
0.000 5.652 0.000
-5.282 0.000 7.634
ATOMIC_POSITIONS angstrom